Exercise:
Find "49.5" and "1.284 2.716" in the listing below, and restate these two lines and those between.
Entries:
'''
This entry pairs a crystal structure of LaTbNd2Bi4 with its simulated XRD peak list. Radiation: Cu Kα. Structure: a cell relaxed with PBE.

Largest 10 diffraction maxima, in order of rising 2θ, 2θ from 10° to 90°:
| Position (°2θ) | intensity | index |
| --- | --- | --- |
| 23.7 | 5 | 0 0 2 |
| 27.4 | 100 | 1 1 1 |
| 39.1 | 79 | 0 2 0 |
| 46.2 | 3 | 0 2 2 |
| 48.4 | 29 | 0 0 4 |
| 56.5 | 14 | 2 2 2 |
| 63.9 | 38 | 1 3 1 |
| 70.8 | 26 | 2 0 -6 |
| 84.0 | 5 | 0 4 0 |
| 84.1 | 4 | 4 0 4 |

```
LaTbNd2Bi4
1.0
7.972 0.000 0.000
0.000 4.611 0.000
-2.659 0.000 7.524
La Tb Nd Bi
1 1 2 4
Cartesian
0.000 0.000 0.000
3.986 2.305 0.000
-1.329 2.305 3.762
2.657 0.000 3.762
1.370 2.305 1.882
0.040 0.000 5.671
5.274 0.000 1.854
3.943 2.305 5.642
```



This entry pairs a crystal structure of Pm2Dy5Tm6 with its simulated XRD peak list. Radiation: Cu Kα. Structure: a cell relaxed with PBE.

Largest 10 diffraction maxima, in order of rising 2θ, 2θ from 10° to 90°:
| Position (°2θ) | intensity | index |
| --- | --- | --- |
| 27.7 | 28 | 1 6 0 |
| 31.2 | 59 | 4 1 0 |
| 31.8 | 46 | 1 4 1 |
| 32.1 | 98 | 1 7 0 |
| 32.5 | 100 | 2 3 1 |
| 34.6 | 40 | 2 4 1 |
| 35.5 | 26 | 3 6 0 |
| 36.9 | 31 | 3 3 1 |
| 57.3 | 35 | 6 4 1 |
| 62.0 | 35 | 1 7 2 |

```
Pm2Dy5Tm6
1.0
11.586 0.000 0.000
0.000 20.088 0.000
0.000 0.000 3.551
Pm Dy Tm
4 10 12
Cartesian
1.948 4.306 0.000
3.845 14.350 0.000
7.741 5.739 0.000
9.638 15.783 0.000
0.000 10.044 1.776
1.053 15.599 1.776
2.314 1.010 1.776
3.479 11.054 1.776
4.740 5.555 1.776
5.793 0.000 1.776
6.846 14.534 1.776
8.107 9.034 1.776
9.272 19.078 1.776
10.533 4.489 1.776
0.688 18.507 0.000
0.920 12.718 0.000
2.064 7.450 1.776
3.729 17.494 1.776
4.873 2.674 0.000
5.105 8.463 0.000
6.481 11.625 0.000
6.713 17.414 0.000
7.857 2.594 1.776
9.522 12.639 1.776
10.666 7.370 0.000
10.898 1.581 0.000
```



This entry pairs a crystal structure of Na2Al3As9O28 with its simulated XRD peak list. Radiation: Cu Kα. Structure: a cell relaxed with PBE.

Largest 10 diffraction maxima, in order of rising 2θ, 2θ from 10° to 90°:
| Position (°2θ) | intensity | index |
| --- | --- | --- |
| 11.1 | 32 | 0 1 0 |
| 16.8 | 39 | 1 1 -1 |
| 22.3 | 64 | 0 0 2 |
| 23.3 | 65 | 0 2 -2 |
| 25.6 | 48 | 1 2 -1 |
| 27.0 | 37 | 2 0 0 |
| 27.8 | 37 | 2 1 -2 |
| 28.2 | 100 | 2 -2 0 |
| 29.2 | 85 | 0 1 2 |
| 30.8 | 27 | 0 3 -2 |

```
Na2Al3As9O28
1.0
7.610 0.000 0.000
-1.680 8.943 0.000
-3.552 -4.068 8.001
Na Al As O
2 3 9 28
Cartesian
0.049 3.235 1.788
2.330 1.640 6.214
0.000 0.000 0.000
-1.572 1.433 6.041
3.950 3.442 1.961
-0.440 0.085 3.297
-1.786 4.343 4.513
-1.472 -1.511 7.427
0.823 6.931 0.736
2.029 -2.034 4.001
1.556 -2.056 7.266
3.850 6.386 0.575
4.164 0.532 3.488
2.818 4.790 4.704
-1.959 3.635 2.983
-3.131 5.466 4.796
-2.920 -2.387 7.424
-0.057 0.782 1.810
-2.785 1.591 7.602
-1.522 -0.407 6.159
0.055 8.370 0.384
0.301 -1.456 3.676
-1.681 3.300 5.823
-0.408 1.302 4.475
0.394 6.142 2.263
-0.297 5.273 4.613
-0.116 -2.615 7.071
2.331 3.240 0.967
0.047 1.635 7.034
2.494 7.490 0.931
2.675 -0.397 3.388
1.984 -1.267 5.738
2.786 3.573 3.527
4.059 1.575 2.179
2.077 6.331 4.325
2.324 -3.494 7.618
3.900 5.282 1.842
5.163 3.284 0.399
2.435 4.093 6.191
5.298 7.262 0.577
5.509 -0.591 3.206
4.337 1.240 5.019
```



This entry pairs a crystal structure of Ca3Au2 with its simulated XRD peak list. Radiation: Cu Kα. Structure: a cell relaxed with PBE.

Largest 10 diffraction maxima, in order of rising 2θ, 2θ from 10° to 90°:
| Position (°2θ) | intensity | index |
| --- | --- | --- |
| 15.7 | 26 | 1 1 0 |
| 20.7 | 36 | 0 0 1 |
| 24.9 | 39 | 2 1 0 |
| 32.6 | 100 | 2 1 1 |
| 35.5 | 28 | 3 1 0 |
| 41.4 | 19 | 3 1 1 |
| 46.0 | 16 | 3 2 1 |
| 49.5 | 13 | 2 1 2 |
| 56.2 | 15 | 3 1 2 |
| 66.6 | 17 | 5 2 1 |

```
Ca3Au2
1.0
8.001 0.000 0.000
0.000 8.001 0.000
0.000 0.000 4.294
Ca Au
6 4
Cartesian
0.000 0.000 0.000
1.284 2.716 2.147
2.716 6.717 2.147
4.001 4.001 0.000
5.285 1.284 2.147
6.717 5.285 2.147
1.080 5.080 0.000
2.921 1.080 0.000
5.080 6.922 0.000
6.922 2.921 0.000
```
'''
Worked solution:
| 49.5 | 13 | 2 1 2 |
| 56.2 | 15 | 3 1 2 |
| 66.6 | 17 | 5 2 1 |

```
Ca3Au2
1.0
8.001 0.000 0.000
0.000 8.001 0.000
0.000 0.000 4.294
Ca Au
6 4
Cartesian
0.000 0.000 0.000
1.284 2.716 2.147